‘I Don’t Get Sick of Beer’
Men drink beer; women are on billboards selling it.
That’s the stereotype Drew McCormick is trying to break. She became Pizzeria Paradiso’s first female Beer Director last February, and has spent the past year championing women in the industry.
‘Women were actually the original brewers of beer, back when it was more of a household chore. With commercialization, it got taken over as a male profession. It’s about expanding people’s understanding of what beer is and what it can be. It doesn’t always have to be the yellowy lager that you remember your dad drinking when you were a kid.’
Centuries before your father’s Yuengling, women were making gruit—a beer brewed without hops, and spiced with ‘old-style’ herbs like wild rosemary and mugwort. Today, Drew is reintroducing the style to a new generation of beer drinkers.
‘We started using hops for their preservative quality and pulled away from what were sometimes deemed ‘witchcraft herbs’ that had other medicinal factors and were used to spice gruit. I love that this style of beer, which represents a time when women were brewing, has become part of my identity in this role.’
=====
Record 1
Material: PmAs2
Method: DFT, PBE
State: optimized geometry

Cell and atoms, written as POSCAR:
```
PmAs2
1.0
-0.774 -3.918 -0.255
3.763 -0.664 -1.187
-0.206 1.753 5.120
As Pm
2 1
Direct
0.135 0.135 0.268
0.865 0.865 0.732
0.500 0.500 0.000
```

- energy above the most stable polymorph in this dataset (eV per formula unit) = 0.68

---

Record 2
Material: LiHf2CdH
Method: DFT, PBE
State: optimized geometry

Cell and atoms, written as POSCAR:
```
LiHf2CdH
1.0
-3.908 0.268 -1.862
-1.503 -3.026 2.720
-1.124 3.076 2.801
H Li Hf Cd
1 1 2 1
Direct
0.000 0.000 0.000
0.000 0.000 0.500
0.000 0.500 0.000
0.500 0.000 0.000
0.500 0.500 0.500
```

---

no.,total magnetic moment (μB/f.u.),calculated total energy (eV/atom)
1,0.00,-5.453
2,0.00,-5.256
=====
If gruits aren’t your thing, Pizzeria Paradiso has 200 other bottles to choose from, in addition to 12 draft lines upstairs, and eight draft lines and 50 cans in the downstairs bar. Drew is responsible for ordering each one and writing its menu description—the latter often more challenging than expected.
‘When you have six IPAs in a row, it’s like, ‘OK, this one’s also very grapefruit-y and aromatic.’
Growing up in southern Maine, Drew didn’t realize a career in beer was possible. She’d worked in restaurants since she was 15, but the booming dining scene was extremely seasonal—working 12-hour days, six days a week for six months, then nothing.
‘I decided to live in a city for one year and see what happened. I always loved beer, and I loved drinking it, and then other people started caring about it. What happened to wine years and years ago started to happen with the craft beer scene.’
New York was too big, and Boston had all the tourists Drew saw each summer in Maine. She landed on D.C., and started working at Pizzeria Paradiso’s Dupont location soon thereafter—expecting to grow tired of city life sooner rather than later.
Five years later, she’s still here.
So, too, is the craft beer movement. No longer wine’s rough and tumble cousin, brews are finally getting the attention Drew says they deserve—both in the way they’re made, and consumed.
‘First you want to pour it in a way where you’re creating head and releasing some of the aromatics. You can give it a little swirl, which agitates the head again and releases even more aromatics. Then you give it a sniff, the same way you do with wine. We talk a lot about the bloodhound method, where you sniff the beer a lot of times instead of taking one deep inhale. Then you suck it through your teeth like you do with wine. Of course you can also just take a sip of it.’
Asking a beer director to pick her favorite brew is like asking a parent to pick their favorite child, but Drew does have seasonal preferences. In the summer, she leans toward farmhouse ales and saisons—‘light but still a little funky, still with a little booze in them’—as well as sour beers. In the winter, classic, hearty English porters.
‘It changes all the time. People are doing crazy things with beer, especially in today’s world when everyone wants the next hot thing; something weird, something visually appealing. There are so many different beers out there that I don’t get sick of them.’
One of the weirdest beers Drew has tried was opened during one of Pizzeria Paradiso’s monthly beer classes. It was the first one Drew attended, and the first time she felt truly inspired.
‘It was a beer brewed by Verhaeghe called Duchesse De Bourgogne, which has a distinct balsamic vinegar flavor to it that can be strange for some people. I tasted it and was like, ‘What is going on here, what am I tasting?’ In that moment, a light bulb went on, and I realized the true possibilities of beer—especially with food pairings, and appealing to people who drink wine. I’ve since convinced a few people who normally drink red wine to try that exact beer, and they’ve had that same moment of realization.’
After diving into the deep end during her first year, Drew says she’s looking forward to bringing in a lot of new beer in 2018, doing more collaborations with local breweries, and pulling away from the classic tap takeover in favor of more creative beer-centric events.
She recently made the decision to stick with cans for the new game room in Pizzeria Paradiso’s basement bar, and says it’s one trend she’s closely following.
‘There’s still a bit of hesitation from people of an older generation because cans used to taste like metal, but that isn’t the case anymore. They’re lighter to ship, easier to recycle, they block 100% of the light—which is great for beer in an illuminated cooler—and the amount of advertising space you have is larger. The design can be prettier and more visually appealing, and there’s more of it to see. There’s less brand loyalty now, and more what can looks cool. And why not?’
And yet, for every cool can and weird beer she tries, Drew says some of her favorite memories are the simplest. Back in Maine, sitting at her mom’s big, round kitchen table, opening a bottle of beer.